(Request)
Next, give back everything underneath with every line break kept.
(Contents)
=====
Entry 1:
Computed, not measured: crystalline Li9Co7O16 at its relaxed geometry at the GGA+U level of DFT.

```
Li9Co7O16
1.0
5.0504 0.0000 0.0000
0.0000 2.9656 0.0000
-0.8116 0.0000 18.9719
Li Co O
9 7 16
Cartesian
0.0000 0.0000 0.0000
-0.4058 1.4828 9.4859
0.3219 0.0000 7.0868
1.0571 1.4828 4.7309
1.7717 0.0000 2.3806
2.5252 1.4828 0.0000
2.4670 0.0000 16.5913
3.1817 1.4828 14.2410
3.9168 0.0000 11.8851
-0.0755 1.4828 16.6940
0.6189 0.0000 14.2504
1.3551 1.4828 11.8657
2.1194 0.0000 9.4859
2.8836 1.4828 7.1062
3.6198 0.0000 4.7214
4.3142 1.4828 2.2778
0.0781 0.0000 3.5932
-0.1293 1.4828 13.0392
0.7093 1.4828 1.3367
0.5476 0.0000 10.7417
0.7770 0.0000 17.7018
1.3818 1.4828 8.2937
1.3877 1.4828 15.4571
2.0702 0.0000 5.9377
2.1685 0.0000 13.0342
2.8510 1.4828 3.5148
2.8569 1.4828 10.6782
3.4618 0.0000 1.2701
3.6912 0.0000 8.2301
3.5294 1.4828 17.6351
4.3680 1.4828 5.9327
4.1607 0.0000 15.3787
```

Output
Total magnetization   2.8 μB per formula unit
Energy above the most stable polymorph in this dataset   76.1 meV per atom
Crystal system   monoclinic
Total energy   -5.543 eV/atom

Entry 2:
Computed, not measured: crystalline Sr5Fe3F19 at its relaxed geometry at the GGA+U level of DFT.

```
Sr5Fe3F19
1.0
8.8557 0.0000 0.0000
2.7592 9.4167 0.0000
4.1572 -0.0110 9.8873
Sr Fe F
10 6 38
Cartesian
0.0000 0.0000 0.0000
2.4021 3.2055 2.8857
7.1989 4.6659 8.2198
6.5345 0.9804 6.2472
7.0909 4.7205 4.3308
7.6457 8.5827 2.3157
10.7401 7.6162 8.4710
7.5968 3.8296 0.2691
10.2231 1.9685 6.9365
12.4366 7.6718 4.7703
7.0205 8.0775 6.5792
5.1639 6.2419 1.4651
7.9623 1.6236 9.8369
8.2898 1.4386 3.1853
10.4228 6.4259 2.1741
12.7608 4.4822 6.5910
12.0291 7.5655 2.2743
5.2306 8.6633 6.1853
6.7014 7.4468 8.4331
4.5911 5.2182 4.9328
3.4679 5.2277 1.6184
4.5020 0.4260 7.3470
2.4701 2.9850 0.2630
5.5983 3.3936 6.5103
5.7449 6.9674 3.2329
6.7954 6.2131 6.1836
5.3951 8.1002 0.9743
6.5675 0.4266 9.0772
3.8616 1.4053 1.9270
7.5893 8.8633 4.8290
8.9930 5.9416 9.4033
5.9783 4.5699 2.1001
8.9595 7.8338 6.8459
7.9172 2.1775 7.9195
6.7688 2.1952 4.1713
9.3829 2.9176 9.7911
8.4799 3.8792 6.1321
7.1296 6.3328 0.6671
9.1231 0.0540 9.7205
8.7149 6.5645 3.1448
11.4243 9.2365 6.6712
10.4797 9.1283 3.8720
7.2421 1.3386 1.5911
8.7064 3.3601 2.8775
11.1340 4.1595 7.6753
9.7843 7.8749 1.0684
9.7033 1.4528 4.5518
12.0802 6.3691 6.7790
11.8191 1.8068 8.8398
10.9654 5.5959 3.8275
9.7878 4.9784 1.1673
13.5345 4.7791 8.3746
9.8172 1.1146 1.9994
11.9112 3.1023 5.4190
```

Output
Total magnetization   0.0 μB per formula unit
Energy above the most stable polymorph in this dataset   43.2 meV per atom
Crystal system   triclinic
Total energy   -5.494 eV/atom

Entry 3:
Computed, not measured: crystalline MgFe4CoO8 at its relaxed geometry at the GGA+U level of DFT.

```
MgFe4CoO8
1.0
3.0148 1.7406 4.9450
-3.0148 1.7406 4.9450
0.0000 -3.4812 4.9450
Mg Fe Co O
1 4 1 8
Cartesian
0.0000 0.0000 0.0000
0.0000 0.0000 5.6000
-1.4834 -0.8565 12.3899
1.4834 -0.8565 12.3899
0.0000 1.7129 12.3899
0.0000 0.0000 9.2510
-1.6208 -0.9358 8.5830
0.0000 0.0000 3.6137
0.0000 -1.8230 6.2492
-1.5788 0.9115 6.2492
1.6208 -0.9358 8.5830
0.0000 1.8716 8.5830
0.0000 0.0000 11.2744
1.5788 0.9115 6.2492
```

Output
Total magnetization   23.0 μB per formula unit
Crystal system   trigonal
Total energy   -6.522 eV/atom

Entry 4:
Computed, not measured: crystalline BaNi4O7 at its relaxed geometry at the GGA+U level of DFT.

```
BaNi4O7
1.0
6.2373 0.0000 0.0000
-3.1186 5.4016 0.0000
0.0000 0.0000 10.2688
Ba Ni O
2 8 14
Cartesian
0.0000 3.6011 0.0000
3.1186 1.8005 5.1344
0.0000 0.0000 4.5499
0.0000 0.0000 9.6844
0.0000 1.8528 7.0277
-1.5140 4.4752 7.0277
1.6046 0.9264 1.8933
1.5140 4.4752 7.0277
4.6327 0.9264 1.8933
3.1186 3.5488 1.8933
0.0000 0.0000 2.6006
0.0000 0.0000 7.7350
-1.4947 2.7381 7.6261
0.0000 1.7077 5.1991
-1.6397 4.5478 5.1991
1.4789 0.8538 0.0647
1.4947 2.7381 7.6261
0.0000 5.3271 7.6261
3.1186 0.0746 2.4917
1.6239 2.6635 2.4917
1.6397 4.5478 5.1991
4.7584 0.8538 0.0647
3.1186 3.6940 0.0647
=====
(Done)
Entry 1:
Computed, not measured: crystalline Li9Co7O16 at its relaxed geometry at the GGA+U level of DFT.

```
Li9Co7O16
1.0
5.0504 0.0000 0.0000
0.0000 2.9656 0.0000
-0.8116 0.0000 18.9719
Li Co O
9 7 16
Cartesian
0.0000 0.0000 0.0000
-0.4058 1.4828 9.4859
0.3219 0.0000 7.0868
1.0571 1.4828 4.7309
1.7717 0.0000 2.3806
2.5252 1.4828 0.0000
2.4670 0.0000 16.5913
3.1817 1.4828 14.2410
3.9168 0.0000 11.8851
-0.0755 1.4828 16.6940
0.6189 0.0000 14.2504
1.3551 1.4828 11.8657
2.1194 0.0000 9.4859
2.8836 1.4828 7.1062
3.6198 0.0000 4.7214
4.3142 1.4828 2.2778
0.0781 0.0000 3.5932
-0.1293 1.4828 13.0392
0.7093 1.4828 1.3367
0.5476 0.0000 10.7417
0.7770 0.0000 17.7018
1.3818 1.4828 8.2937
1.3877 1.4828 15.4571
2.0702 0.0000 5.9377
2.1685 0.0000 13.0342
2.8510 1.4828 3.5148
2.8569 1.4828 10.6782
3.4618 0.0000 1.2701
3.6912 0.0000 8.2301
3.5294 1.4828 17.6351
4.3680 1.4828 5.9327
4.1607 0.0000 15.3787
```

Output
Total magnetization   2.8 μB per formula unit
Energy above the most stable polymorph in this dataset   76.1 meV per atom
Crystal system   monoclinic
Total energy   -5.543 eV/atom

Entry 2:
Computed, not measured: crystalline Sr5Fe3F19 at its relaxed geometry at the GGA+U level of DFT.

```
Sr5Fe3F19
1.0
8.8557 0.0000 0.0000
2.7592 9.4167 0.0000
4.1572 -0.0110 9.8873
Sr Fe F
10 6 38
Cartesian
0.0000 0.0000 0.0000
2.4021 3.2055 2.8857
7.1989 4.6659 8.2198
6.5345 0.9804 6.2472
7.0909 4.7205 4.3308
7.6457 8.5827 2.3157
10.7401 7.6162 8.4710
7.5968 3.8296 0.2691
10.2231 1.9685 6.9365
12.4366 7.6718 4.7703
7.0205 8.0775 6.5792
5.1639 6.2419 1.4651
7.9623 1.6236 9.8369
8.2898 1.4386 3.1853
10.4228 6.4259 2.1741
12.7608 4.4822 6.5910
12.0291 7.5655 2.2743
5.2306 8.6633 6.1853
6.7014 7.4468 8.4331
4.5911 5.2182 4.9328
3.4679 5.2277 1.6184
4.5020 0.4260 7.3470
2.4701 2.9850 0.2630
5.5983 3.3936 6.5103
5.7449 6.9674 3.2329
6.7954 6.2131 6.1836
5.3951 8.1002 0.9743
6.5675 0.4266 9.0772
3.8616 1.4053 1.9270
7.5893 8.8633 4.8290
8.9930 5.9416 9.4033
5.9783 4.5699 2.1001
8.9595 7.8338 6.8459
7.9172 2.1775 7.9195
6.7688 2.1952 4.1713
9.3829 2.9176 9.7911
8.4799 3.8792 6.1321
7.1296 6.3328 0.6671
9.1231 0.0540 9.7205
8.7149 6.5645 3.1448
11.4243 9.2365 6.6712
10.4797 9.1283 3.8720
7.2421 1.3386 1.5911
8.7064 3.3601 2.8775
11.1340 4.1595 7.6753
9.7843 7.8749 1.0684
9.7033 1.4528 4.5518
12.0802 6.3691 6.7790
11.8191 1.8068 8.8398
10.9654 5.5959 3.8275
9.7878 4.9784 1.1673
13.5345 4.7791 8.3746
9.8172 1.1146 1.9994
11.9112 3.1023 5.4190
```

Output
Total magnetization   0.0 μB per formula unit
Energy above the most stable polymorph in this dataset   43.2 meV per atom
Crystal system   triclinic
Total energy   -5.494 eV/atom

Entry 3:
Computed, not measured: crystalline MgFe4CoO8 at its relaxed geometry at the GGA+U level of DFT.

```
MgFe4CoO8
1.0
3.0148 1.7406 4.9450
-3.0148 1.7406 4.9450
0.0000 -3.4812 4.9450
Mg Fe Co O
1 4 1 8
Cartesian
0.0000 0.0000 0.0000
0.0000 0.0000 5.6000
-1.4834 -0.8565 12.3899
1.4834 -0.8565 12.3899
0.0000 1.7129 12.3899
0.0000 0.0000 9.2510
-1.6208 -0.9358 8.5830
0.0000 0.0000 3.6137
0.0000 -1.8230 6.2492
-1.5788 0.9115 6.2492
1.6208 -0.9358 8.5830
0.0000 1.8716 8.5830
0.0000 0.0000 11.2744
1.5788 0.9115 6.2492
```

Output
Total magnetization   23.0 μB per formula unit
Crystal system   trigonal
Total energy   -6.522 eV/atom

Entry 4:
Computed, not measured: crystalline BaNi4O7 at its relaxed geometry at the GGA+U level of DFT.

```
BaNi4O7
1.0
6.2373 0.0000 0.0000
-3.1186 5.4016 0.0000
0.0000 0.0000 10.2688
Ba Ni O
2 8 14
Cartesian
0.0000 3.6011 0.0000
3.1186 1.8005 5.1344
0.0000 0.0000 4.5499
0.0000 0.0000 9.6844
0.0000 1.8528 7.0277
-1.5140 4.4752 7.0277
1.6046 0.9264 1.8933
1.5140 4.4752 7.0277
4.6327 0.9264 1.8933
3.1186 3.5488 1.8933
0.0000 0.0000 2.6006
0.0000 0.0000 7.7350
-1.4947 2.7381 7.6261
0.0000 1.7077 5.1991
-1.6397 4.5478 5.1991
1.4789 0.8538 0.0647
1.4947 2.7381 7.6261
0.0000 5.3271 7.6261
3.1186 0.0746 2.4917
1.6239 2.6635 2.4917
1.6397 4.5478 5.1991
4.7584 0.8538 0.0647
3.1186 3.6940 0.0647